Thursday, January 30, 2014

Thinking about Social Media and FERPA...

Okay, so this has been on my mind for a while. I am genuinely curious, and would LOVE responses on this topic, because I really want to understand all sides of this, and really need to work to figure out where I draw the line. I also want to apologize if this seems rambly or not as succinct as it could, or should be. This is basically a stream of consciousness, think-aloud about this topic, inspired by something I observed on facebook tonight, as well as other instances around social media.

As teachers, we all know (or should!) all about FERPA. We all know that our students, and their families, have legal rights to expect that their privacy, and the privacy of their child, is respected. So, where does that leave us as teachers on social media?

I've seen conversations of late where "anonymous" teacher questions were posted (teachers submit their question, another teacher posts it on her social media, and other teachers respond), but then the teacher who submitted the question has made public acknowledgement that it was her question, along with sharing details about the situation. Is that a violation of FERPA? To me, it would be. Do I know who that child is? No. Would other teachers who work in that building? Maybe. Would other parents from that building? Maybe. And that parent? Oh, that parent, seeing that conversation online, would certainly know to whom it was referring. That child and family have, in my mind, just had their FERPA rights violated. Just because we leave off names, it does not mean we aren't breaking FERPA.

I've read blog posts from teachers I think do a fabulous job, where they write about their students who struggle with behavior. I know we need a place and a way to vent. I know we should be able to write and blog about our lives and our experiences in the classroom. However, if you are a well-known (or even a totally unknown) teacher blogger, and a parent visits your website, and sees you going on about how you were doing such great things in your classroom, but then this nameless child went off, throwing things, etc, how is that parent going to feel knowing that it was his or her child? How do other parents feel when they read these summaries of life in your classroom? Is it a reality of teaching? Yes. Children aren't perfect. Some kiddos are struggling emotionally and academically, and don't have the skills or ability to manage their frustrations. Is it overwhelming for us as teachers? Yes. Do we have the right to publicly air our issues in social media? I don't think so. We CAN address things by asking questions, such as "what have you done when...", without giving details about the situation of a specific child in your classroom...if it is a question that can be generalized across many children, many experiences, without a specific story or example attached, I'm cool with that. I'm not cool with "here's this specific story that has just happened to me, what would you do?"

I'm not saying we need to paint a picture of teaching as sunshine, rainbows and unicorns. That's not useful for anyone. I am saying that we, as teachers, and as participants in social media, really need to remember that everything we put out there is visible to someone else...and that "someone else" may be one of our parents, grandparents, friend of a family, someone who loves that child, someone who may be embarrassed to see their challenges and frustrations put out in public for all to see. We don't need to agree with all parents, and we certainly need to be able to seek help when we need it, we just need to be thoughtful when we post, and remember, as frustrated as we can get, it is never okay to publicize private conversations.

As I said, this is really just my reflection on what I am seeing happening in social media...any thoughts and ideas would be appreciated!


Monday, January 27, 2014

Yikes! Blogging is Hard!

• These materials data were left in the piece by mistake:
- - -
An optimized crystal structure of CaCeAlFe2Si3O13. Source: the Materials Project, functional GGA+U.

**Space group**: P2_1/m
**Theoretical density**: 4.156 g/cm3
**ΔH_f (0 K)**: -3032.4 meV per atom

Cell: 5.8570 9.0137 10.2222 Å, 64.82 90.00 90.00°
Fractional positions:
Fe (0.2500, 0.9218, 0.7733)
O (0.5116, 0.7873, 0.9663)
Si (0.2500, 0.5819, 0.7327)
Al (0.0000, 0.5000, 0.5000)
O (0.7500, 0.3395, 0.5821)
Fe (0.7500, 0.0782, 0.2267)
O (0.2500, 0.0730, 0.8660)
O (0.5209, 0.4756, 0.3259)
O (0.4884, 0.2127, 0.0337)
O (0.7500, 0.1037, 0.8395)
O (0.9723, 0.0546, 0.6226)
O (0.2500, 0.3254, 0.1960)
O (0.0116, 0.2127, 0.0337)
O (0.0209, 0.5244, 0.6741)
Si (0.7500, 0.4181, 0.2673)
O (0.0277, 0.9454, 0.3774)
Ca (0.7500, 0.3801, 0.8504)
Ca (0.2500, 0.6199, 0.1496)
O (0.9791, 0.4756, 0.3259)
O (0.2500, 0.7780, 0.6739)
Si (0.2500, 0.3025, 0.0458)
Ce (0.7500, 0.8070, 0.5617)
O (0.2500, 0.3508, 0.5457)
O (0.7500, 0.6492, 0.4543)
Fe (0.5000, 0.0000, 0.0000)
O (0.4791, 0.5244, 0.6741)
O (0.2500, 0.4917, 0.9127)
O (0.9884, 0.7873, 0.9663)
Si (0.2500, 0.8625, 0.3334)
O (0.2500, 0.6605, 0.4179)
O (0.4723, 0.9454, 0.3774)
O (0.7500, 0.2220, 0.3261)
Si (0.7500, 0.1375, 0.6666)
O (0.7500, 0.6746, 0.8040)
O (0.7500, 0.5083, 0.0873)
O (0.5277, 0.0546, 0.6226)
O (0.7500, 0.9270, 0.1340)
Ce (0.2500, 0.1930, 0.4383)
O (0.2500, 0.8963, 0.1605)
Si (0.7500, 0.6975, 0.9542)
Fe (0.0000, 0.0000, 0.0000)
Al (0.5000, 0.5000, 0.5000)

---

An optimized crystal structure of Ca2AlCoO5. Source: the Materials Project, functional GGA+U.

**Space group**: C2
**Theoretical density**: 3.773 g/cm3
**ΔH_f (0 K)**: -2796.9 meV per atom

Cell: 8.3013 8.3013 5.5899 Å, 70.56 70.56 36.91°
Fractional positions:
Ca (0.1023, 0.1175, 0.3558)
O (0.1826, 0.1177, 0.9230)
O (0.8704, 0.6297, 0.6095)
Ca (0.8825, 0.8977, 0.6442)
O (0.7349, 0.2379, 0.2563)
O (0.3830, 0.3280, 0.7102)
Co (0.5027, 0.4973, 0.5000)
O (0.6720, 0.6170, 0.2898)
O (0.7621, 0.2651, 0.7437)
O (0.2361, 0.7366, 0.2642)
O (0.8823, 0.8174, 0.0770)
Ca (0.3789, 0.4012, 0.0803)
Ca (0.5988, 0.6211, 0.9197)
Al (0.7069, 0.7910, 0.3262)
O (0.2634, 0.7639, 0.7358)
Al (0.2090, 0.2931, 0.6738)
Co (0.0016, 0.9984, 0.0000)
O (0.3703, 0.1296, 0.3906)

---

An optimized crystal structure of Ca2AlCoO5. Source: the Materials Project, functional GGA+U.

**Space group**: P1
**Theoretical density**: 3.766 g/cm3
**ΔH_f (0 K)**: -2793.8 meV per atom

Cell: 5.2726 5.5747 8.3265 Å, 109.69 108.81 88.98°
Fractional positions:
O (0.8130, 0.9273, 0.6974)
Al (0.7895, 0.6753, 0.4972)
O (0.7456, 0.7438, 0.9724)
Ca (0.4025, 0.9223, 0.7792)
Ca (0.8980, 0.3605, 0.7806)
Ca (0.1179, 0.6441, 0.2207)
Al (0.2947, 0.3280, 0.5036)
O (0.1183, 0.0780, 0.3039)
Co (0.9985, 0.0015, 0.9994)
O (0.6290, 0.3933, 0.4998)
O (0.2419, 0.7384, 0.9744)
O (0.1295, 0.6128, 0.5012)
O (0.6180, 0.7081, 0.2867)
O (0.2564, 0.2525, 0.0278)
Co (0.4976, 0.5014, 0.9996)
Ca (0.6207, 0.0796, 0.2203)
O (0.7589, 0.2723, 0.0258)
O (0.3318, 0.2960, 0.7138)

---
- - -



Yes. I am not the best blogger out there. No, I have not posted since September. Yes, that is bad.'s a bit of why!

Well, I think any teachers reading this know just how hard the start of the school year is. And when you aren't a solid blogger to begin with, it's one of the first things to fly out the window. Added to the start of the year crazy was the whole finishing-my-practicum for my masters thing. That took me until Christmas, and holy cow, was it a LOT of work!

Well, a month after Christmas, and here I am, back to give blogging another go! Here is what I am up to lately...

Lots and lots of SNOW. Yep, I live in Michigan, and we've gotten lots of the frozen white stuff this year. It's meant lots of days off from school (today included, and tomorrow highly likely).

Sewing :) I started sewing rather unexpectedly about two years ago, when I dove in head first making a doll for my niece. Two years later, my three daughters all now have new dolls (which 2/3 of them requested two years ago). I am finishing up the quilt for my youngest daughter's doll, as well as handsewing three little inchworms for my girls. I am finding it really relaxing!

Being a dance/tumbling mom. It's not much compared to many parents, but two nights a week at the dance studio is a lot for me.

Spending time with my family. This has been the nicest side effect of being done with "school"...I can close my computer, and BE with my family. My husband and I have been watching movies, Sherlock, Doctor Who, etc. So nice to spend time together.

Unrelated to this page: records of crystals.
........
Model 1:
Below is a relaxed SrH16O10 crystal, with properties calculated at the GGA-PBE level.

```
data_SrH16O10
_symmetry_space_group_name_H-M 'P -1'
_symmetry_Int_Tables_number 2
_symmetry_space_group_name_Hall '-P 1'
_cell_length_a 5.939
_cell_length_b 6.551
_cell_length_c 6.693
_cell_angle_alpha 86.97
_cell_angle_beta 88.15
_cell_angle_gamma 88.58
loop_
_atom_site_label
_atom_site_fract_x
_atom_site_fract_y
_atom_site_fract_z
_atom_site_occupancy
Sr1 0.000 0.000 0.000 1
H1 0.252 0.671 0.676 1
H2 0.271 0.690 0.354 1
H3 0.279 0.083 0.314 1
H4 0.284 0.350 0.927 1
H5 0.304 0.351 0.686 1
H6 0.309 0.326 0.345 1
H7 0.409 0.790 0.800 1
H8 0.427 0.810 0.208 1
O1 0.245 0.766 0.787 1
O2 0.267 0.813 0.257 1
O3 0.277 0.259 0.817 1
O4 0.285 0.218 0.242 1
O5 0.369 0.488 0.501 1
```


Model 2:
Below is a relaxed SrH16O10 crystal, with properties calculated at the GGA-PBE level.

```
data_SrH16O10
_symmetry_space_group_name_H-M 'P 1'
_symmetry_Int_Tables_number 1
_symmetry_space_group_name_Hall 'P 1'
_cell_length_a 6.131
_cell_length_b 6.408
_cell_length_c 11.551
_cell_angle_alpha 87.93
_cell_angle_beta 89.66
_cell_angle_gamma 90.00
loop_
_atom_site_label
_atom_site_fract_x
_atom_site_fract_y
_atom_site_fract_z
_atom_site_occupancy
Sr1 0.000 0.000 0.000 1
Sr2 0.009 0.001 0.503 1
H1 0.029 0.598 0.362 1
H2 0.037 0.400 0.067 1
H3 0.044 0.552 0.633 1
H4 0.120 0.318 0.795 1
H5 0.277 0.625 0.388 1
H6 0.278 0.388 0.108 1
H7 0.280 0.394 0.896 1
H8 0.289 0.608 0.602 1
H9 0.299 0.880 0.211 1
H10 0.312 0.889 0.791 1
H11 0.361 0.278 0.377 1
H12 0.393 0.271 0.603 1
H13 0.396 0.731 0.112 1
H14 0.399 0.729 0.893 1
H15 0.446 0.049 0.378 1
H16 0.464 0.037 0.630 1
H17 0.560 0.041 0.123 1
H18 0.568 0.050 0.870 1
H19 0.607 0.728 0.391 1
H20 0.619 0.279 0.108 1
H21 0.619 0.718 0.596 1
H22 0.622 0.284 0.896 1
H23 0.705 0.899 0.296 1
H24 0.727 0.391 0.385 1
H25 0.729 0.390 0.594 1
H26 0.729 0.622 0.891 1
H27 0.730 0.612 0.109 1
H28 0.735 0.808 0.709 1
H29 0.795 0.255 0.707 1
H30 0.906 0.302 0.294 1
H31 0.970 0.611 0.168 1
H32 0.972 0.615 0.844 1
O1 0.127 0.327 0.126 1
O2 0.129 0.336 0.879 1
O3 0.142 0.707 0.363 1
O4 0.149 0.668 0.634 1
O5 0.312 0.134 0.365 1
O6 0.335 0.131 0.631 1
O7 0.336 0.875 0.128 1
O8 0.339 0.876 0.875 1
O9 0.503 0.508 0.068 1
O10 0.504 0.508 0.938 1
O11 0.508 0.514 0.422 1
O12 0.517 0.506 0.551 1
O13 0.669 0.879 0.379 1
O14 0.679 0.851 0.632 1
O15 0.686 0.138 0.128 1
O16 0.689 0.153 0.865 1
O17 0.852 0.713 0.858 1
O18 0.858 0.313 0.634 1
O19 0.858 0.702 0.133 1
O20 0.882 0.334 0.376 1
```


Model 3:
Below is a relaxed SrH16O10 crystal, with properties calculated at the GGA-PBE level.

```
data_SrH16O10
_symmetry_space_group_name_H-M 'P 1'
_symmetry_Int_Tables_number 1
_symmetry_space_group_name_Hall 'P 1'
_cell_length_a 6.140
_cell_length_b 6.507
_cell_length_c 11.487
_cell_angle_alpha 89.02
_cell_angle_beta 88.11
_cell_angle_gamma 89.35
loop_
_atom_site_label
_atom_site_fract_x
_atom_site_fract_y
_atom_site_fract_z
_atom_site_occupancy
........
The records of crystals stop here.

But wait...this is a teaching blog, not a personal life blog! So...what have I been up to as a teacher?

Trying to adjust to our new method of providing interventions to our at-risk students. This has been hugely challenging for me. Not that I don't know how to reach them, but making the groupings work, managing the rest of class while I (and my assistant) are working with groups. This has been HUGELY challenging for me, and I have been brainstorming ways to improve what I am doing. It helps that my practicum is over, and now I can try to address student needs in the ways *I* think are appropriate, rather than to fit into a pre-outlined plan of intervention.

I am super excited because I have been asked to speak for TWO sessions at the MACUL conference here in Michigan. MACUL is the Michigan Association for Computer Users in Learning, and I have gone to the conference for the past five years. I LOVE it, and always come back SO fired up for teaching with and learning from technology. I get to give the two presentations I have posted in my last post, and I can't wait! I am going to be busy over the next month polishing those presentations up, adding information, removing unnecessary "stuff" and so on. Very excited, but also very, very nervous to present! Plus, Erin Klein (who is amazing) is presenting at the conference as well, and ALSO speaking on Pinterest in pressure there!!! Yikes!

We also just found out that our district has been selected to pilot the new K-2 Common Core assessment. We are all working to keep a positive attitude about this (more assessment?), and keeping the point of view that we get to give honest, brutal feedback about how the whole process goes. It's a little overwhelming, but we'll figure it out!

Our principal softened the blow by sharing the news that our building is FINALLY catching up with others in the district in terms of technology! We are going to get more netbooks for our students to use, new (refurbished) computers for staff, and 2 iPads for every classroom! WOW!!! (May I just say...the teachers in my building have NEVER had "new" computers...we have always gotten hand-me-downs from other buildings, with Do Not Resuscitate notices attached (well, not really, but the tech guys all know...if a computer in our building breaks, don't waste your time fixing it), so this is a HUGE deal!!! We thought we were hot stuff finally getting upgraded from Microsoft Office 2003 earlier this year!).

Between two parts of the entry: data records:
┌──
Entry 1:
{"formula": "Ti5InS8", "functional": "PBE-GGA", "state": "optimized geometry", "energy_mp2020_ev_per_atom": -6.967, "e_form_ev_per_atom": -1.587, "lattice": [[8.946, -1.705, 0.000], [8.946, 1.705, 0.000], [-2.180, 0.000, 8.601]], "species": ["Ti", "Ti", "Ti", "Ti", "Ti", "In", "S", "S", "S", "S", "S", "S", "S", "S"], "fractional_positions": [[0.000, 0.000, 0.000], [0.293, 0.293, 0.652], [0.341, 0.341, 0.007], [0.659, 0.659, 0.993], [0.707, 0.707, 0.348], [0.500, 0.500, 0.500], [0.087, 0.087, 0.824], [0.163, 0.163, 0.499], [0.241, 0.241, 0.165], [0.424, 0.424, 0.831], [0.576, 0.576, 0.169], [0.759, 0.759, 0.835], [0.837, 0.837, 0.501], [0.913, 0.913, 0.176]]}



Entry 2:
{"formula": "Ti5InS8", "functional": "PBE-GGA", "state": "optimized geometry", "energy_mp2020_ev_per_atom": -6.966, "e_form_ev_per_atom": -1.586, "lattice": [[8.945, -1.705, 0.000], [8.945, 1.705, 0.000], [-2.178, 0.000, 8.588]], "species": ["Ti", "Ti", "Ti", "Ti", "Ti", "In", "S", "S", "S", "S", "S", "S", "S", "S"], "fractional_positions": [[0.000, 0.000, 0.000], [0.047, 0.047, 0.352], [0.339, 0.339, 0.006], [0.633, 0.633, 0.658], [0.681, 0.681, 0.012], [0.852, 0.852, 0.528], [0.099, 0.099, 0.840], [0.177, 0.177, 0.507], [0.252, 0.252, 0.180], [0.427, 0.427, 0.830], [0.502, 0.502, 0.504], [0.581, 0.581, 0.171], [0.764, 0.764, 0.837], [0.916, 0.916, 0.174]]}



Entry 3:
{"formula": "TlInS2", "functional": "PBE-GGA", "state": "optimized geometry", "energy_mp2020_ev_per_atom": -4.104, "e_form_ev_per_atom": -0.758, "lattice": [[8.009, 0.000, 0.000], [0.000, 8.009, 0.000], [0.000, 0.000, 6.768]], "species": ["Tl", "Tl", "Tl", "Tl", "In", "In", "In", "In", "S", "S", "S", "S", "S", "S", "S", "S"], "fractional_positions": [[0.000, 0.000, 0.250], [0.000, 0.000, 0.750], [0.500, 0.500, 0.250], [0.500, 0.500, 0.750], [0.000, 0.500, 0.250], [0.000, 0.500, 0.750], [0.500, 0.000, 0.250], [0.500, 0.000, 0.750], [0.165, 0.335, 0.000], [0.165, 0.665, 0.500], [0.335, 0.165, 0.500], [0.335, 0.835, 0.000], [0.665, 0.165, 0.000], [0.665, 0.835, 0.500], [0.835, 0.335, 0.500], [0.835, 0.665, 0.000]]}



Entry 4:
{"formula": "TlInS2", "functional": "PBE-GGA", "state": "optimized geometry", "energy_mp2020_ev_per_atom": -3.595, "magmom_total_mub_per_fu": 0.0, "e_form_ev_per_atom": -0.248, "lattice": [[7.892, 0.000, 0.000], [0.000, 5.825, 0.000], [-3.190, 0.000, 5.816]], "species": ["Tl", "Tl", "In", "In", "S", "S", "S", "S"], "fractional_positions": [[0.000, 0.000, 0.000], [0.500, 0.500, 0.000], [0.000, 0.000, 0.500], [0.500, 0.500, 0.500], [0.084, 0.500, 0.183], [0.416, 0.000, 0.817], [0.584, 0.000, 0.183], [0.916, 0.500, 0.817]]}



Question: What is the formula in the third record?
Answer: TlInS2

* * * * *

# CaH8Cl2O4

A relaxed structure of CaH8Cl2O4 (r2SCAN, the Materials Project database).

a b c (Å): 7.535 6.098 8.834
angles (deg): 69.60 90.00 90.00
Sites, in units of the cell vectors:
Ca 0.500 0.000 0.500
Ca 0.000 0.000 0.000
H 0.439 0.110 0.805
H 0.939 0.890 0.695
H 0.561 0.890 0.195
└──
So much for the data records:

Hmmm...Have I blathered on enough? I am excited to be blogging again, to be able to use this blog as a place to reflect, share, and build my PLN. Thanks for stopping by to read, I'm off to catch up on some blog reading of my own!
